First published: Autumn 2022
### Unrelated to this entry: crystal structures
┌──
This entry pairs a crystal structure of Ca2Ag6Pd with its calculated powder diffraction line list. Radiation: Cu Kα, 1.54184 Å. Structure: the GGA-PBE geometry in Alexandria.
Kinematic intensities with the Lorentz-polarization factor, no thermal factor.

Structure:
```
data_Ca2Ag6Pd
_symmetry_space_group_name_H-M 'C 1 2/m 1'
_symmetry_Int_Tables_number 12
_cell_length_a 14.471
_cell_length_b 4.844
_cell_length_c 5.403
_cell_angle_alpha 90.00
_cell_angle_beta 102.07
_cell_angle_gamma 90.00
loop_
_symmetry_equiv_pos_as_xyz
'x,y,z'
'-x,-y,-z'
'-x,y,-z'
'x,-y,z'
'x+1/2,y+1/2,z'
'-x+1/2,-y+1/2,-z'
'-x+1/2,y+1/2,-z'
'x+1/2,-y+1/2,z'
loop_
_atom_site_label
_atom_site_fract_x
_atom_site_fract_y
_atom_site_fract_z
_atom_site_occupancy
Ca1 0.078 0.000 0.307 1
Ag1 0.098 0.500 0.986 1
Ag2 0.200 0.000 0.870 1
Ag3 0.201 0.500 0.563 1
Pd1 0.000 0.500 0.500 1
```

Top 10 peaks for 15 to 90 degrees two-theta, sorted by position:
hkl	2theta	intensity
1 1 0	19.4	428
4 0 1	33.3	417
3 1 1	33.6	175
0 0 2	33.9	189
0 2 0	37.1	665
5 1 -1	37.7	1000
1 1 -2	38.2	965
6 0 -1	38.4	199
5 1 1	43.5	492
4 2 1	50.7	244

=====

The following is a theoretical X-ray powder pattern of MnBe4Mo. It was derived from a structure optimized by DFT (PBE), using a wavelength of 1.5418 Å.
Lines closer than 0.1° are merged.

Most intense lines, 2θ = 10–80°, low angle first:
d 3.512, 2θ 25.36, rel. 100
d 3.042, 2θ 29.36, rel. 9
d 2.151, 2θ 42.01, rel. 89
d 1.834, 2θ 49.71, rel. 69
d 1.756, 2θ 52.08, rel. 3
d 1.521, 2θ 60.92, rel. 10
d 1.396, 2θ 67.06, rel. 18
d 1.360, 2θ 69.05, rel. 3
d 1.242, 2θ 76.76, rel. 28

Cell and atoms:
```
data_MnBe4Mo
_cell_length_a 6.0831
_cell_length_b 6.0831
_cell_length_c 6.0831
_cell_angle_alpha 90.00
_cell_angle_beta 90.00
_cell_angle_gamma 90.00
_symmetry_space_group_name_H-M 'F -4 3 m'
_symmetry_Int_Tables_number 216
_symmetry_space_group_name_Hall 'F -4 2 3'
loop_
_atom_site_label
_atom_site_fract_x
_atom_site_fract_y
_atom_site_fract_z
_atom_site_occupancy
Mn1 0.0000 0.0000 0.0000 1
Be1 0.1247 0.1247 0.3753 1
Mo1 0.2500 0.2500 0.7500 1
```

The following is a theoretical X-ray powder pattern of Mn3BeMo. It was derived from a structure optimized by DFT (PBE), using a wavelength of 1.5418 Å.
Lines closer than 0.1° are merged.

Most intense lines, 2θ = 10–80°, low angle first:
d 3.891, 2θ 22.86, rel. 6
d 2.751, 2θ 32.54, rel. 9
d 2.246, 2θ 40.14, rel. 100
d 1.945, 2θ 46.69, rel. 52
d 1.740, 2θ 52.60, rel. 3
d 1.588, 2θ 58.07, rel. 4
d 1.376, 2θ 68.17, rel. 31
d 1.297, 2θ 72.94, rel. 1
d 1.230, 2θ 77.59, rel. 2

Cell and atoms:
```
data_Mn3BeMo
_cell_length_a 3.8909
_cell_length_b 3.8909
_cell_length_c 3.8909
_cell_angle_alpha 90.00
_cell_angle_beta 90.00
_cell_angle_gamma 90.00
_symmetry_space_group_name_H-M 'P m -3 m'
_symmetry_Int_Tables_number 221
_symmetry_space_group_name_Hall '-P 4 2 3'
loop_
_atom_site_label
_atom_site_fract_x
_atom_site_fract_y
_atom_site_fract_z
_atom_site_occupancy
Mn1 0.0000 0.0000 0.5000 1
Be1 0.0000 0.0000 0.0000 1
└──
Prinzhorn’s revolutionary book is acclaimed as the first step towards the acknowledgement of outsider art
This year, the Prinzhorn Collection at Heidelberg University Hospital is celebrating the 100-year anniversary of Dr Hans Prinzhorn’s revolutionary book with – among other events – a Prinzhorn symposium. Published in 1922, his Bildnerei der Geisteskranken (Artistry of the Mentally Ill) examined the creative output of psychiatric patients, and characterises the awakening in art and culture, after World War I, in the still-young Weimar Republic. Never before had such an extensive publication – with so many, in some cases full-page and colour, illustrations – been devoted to this artistic fringe; never before had the aesthetic value of these works been described so eloquently and in such detail.

August Klett, Cellar, Inn, Salon, Stable in One, 1915, pencil and watercolour on paper, 9 x 13 in. / 23 x 33 cm
~~~
Simulated powder XRD pattern of CoAgTeO for Cu Ka, from the GGA+U geometry in OQMD.

Most intense lines, 2θ = 10–90°, by angle:
two_theta  I/Imax  hkl
13.20  15  0 0 2
30.26  44  2 0 0
30.69  100  0 1 3
40.33  11  0 0 6
43.64  55  2 1 3
47.36  19  0 2 0
51.24  12  2 0 6
57.24  14  2 2 0

Crystal structure
a b c (Å): 5.906 3.839 13.419
angles (deg): 90.00 90.00 90.00
Atoms (fractional coordinates):
Co: 0.151 0.250 0.197
Co: 0.349 0.750 0.697
Co: 0.651 0.250 0.303
Co: 0.849 0.750 0.803
Ag: 0.232 0.250 0.908
Ag: 0.268 0.750 0.408
Ag: 0.732 0.250 0.592
Ag: 0.768 0.750 0.092
Te: 0.218 0.250 0.575
Te: 0.282 0.750 0.075
Te: 0.718 0.250 0.925
Te: 0.782 0.750 0.425
O: 0.169 0.750 0.810
O: 0.331 0.250 0.310
O: 0.669 0.750 0.690
O: 0.831 0.250 0.190

=====

Entry 1:
Structure and simulated PXRD pattern of LaZnAg2F8 (DFT lattice parameters and positions (GGA-PBE); Cu Kα (weighted mean of Kα1 and Kα2)).
No peak broadening, texture or thermal motion is included.

The 6 most intense peaks (2θ = 10–90°), low angle first:
2theta, d_spacing, I (rel.)
26.1, 3.416, 100
27.8, 3.213, 40
29.7, 3.010, 32
31.5, 2.843, 30
44.5, 2.035, 34
47.1, 1.930, 29

Structural model:
```
LaZnAg2F8
1.0
4.348 0.000 0.000
-0.004 5.534 0.000
-0.006 -0.530 7.516
La Zn Ag F
1 1 2 8
direct
0.000 0.000 0.000
0.000 0.000 0.500
0.484 0.507 0.272
0.516 0.493 0.728
0.110 0.214 0.281
0.114 0.228 0.749
0.355 0.777 0.490
0.451 0.758 0.975
0.549 0.242 0.025
0.645 0.223 0.510
0.886 0.772 0.251
0.890 0.786 0.719
```

Entry 2:
Structure and simulated PXRD pattern of Li4Ag2F9 (DFT lattice parameters and positions (GGA-PBE); Cu Kα (weighted mean of Kα1 and Kα2)).
No peak broadening, texture or thermal motion is included.

The 6 most intense peaks (2θ = 10–90°), low angle first:
2theta, d_spacing, I (rel.)
18.1, 4.891, 100
18.8, 4.714, 93
20.3, 4.385, 71
28.0, 3.190, 51
28.2, 3.167, 63
35.9, 2.504, 57

Structural model:
```
Li4Ag2F9
1.0
5.178 0.000 0.000
-2.071 4.948 0.000
-1.677 -2.266 14.781
Li Ag F
8 4 18
direct
0.131 0.341 0.313
0.156 0.355 0.510
0.162 0.339 0.996
0.223 0.356 0.768
0.777 0.644 0.232
0.838 0.661 0.004
0.844 0.645 0.490
0.869 0.659 0.687
0.456 0.971 0.363
0.481 0.990 0.882
0.519 0.010 0.118
0.544 0.029 0.637
0.069 0.546 0.411
0.121 0.971 0.280
0.198 0.017 0.560
0.216 0.709 0.770
0.233 0.725 0.010
0.254 0.237 0.884
0.282 0.237 0.104
0.448 0.646 0.279
0.461 0.317 0.429
0.539 0.683 0.571
0.552 0.354 0.721
0.718 0.763 0.896
0.746 0.763 0.116
0.767 0.275 0.990
0.784 0.291 0.230
0.802 0.983 0.440
0.879 0.029 0.720
0.931 0.454 0.589
```

Entry 3:
Structure and simulated PXRD pattern of Li3Ag3F8 (DFT lattice parameters and positions (GGA-PBE); Cu Kα (weighted mean of Kα1 and Kα2)).
No peak broadening, texture or thermal motion is included.

The 6 most intense peaks (2θ = 10–90°), low angle first:
2theta, d_spacing, I (rel.)
16.3, 5.443, 66
28.3, 3.150, 88
32.9, 2.726, 100
44.0, 2.059, 29
53.1, 1.725, 24
~~~
Thus, this “contribution to the psychology and psychopathology of artistry” – as the book’s first edition was subtitled – attracted much attention, in particular that of artists and art lovers. Paul Klee, Oskar Schlemmer and many Expressionists – but above all the circle of Surrealists around André Breton – were fascinated and inspired to create their own works.

August Natterer, Miracle Shepherd (II), between 1911 and1917, pencil and watercolour on cardboard, varnished, 7.5 x 9.5 in. / 19.5 x 24.5 cm
The drawings of August Natterer became especially important for Max Ernst, who had personally taken Prinzhorn's book to his friends in Paris shortly after its publication. Later, Bildnerei der Geisteskranken became the essential starting point for Jean Dubuffet's idea of art brut, and Roger Cardinal paid extensive tribute to it in his 1972 book Outsider Art. The enthausiasm for Prinzhorn’s classic text continues to this day. It has been translated into six languages, and a seventh edition is available in German.

Else Blankenhorn, Nonanta Duplonen (banknote), between 1908 and 1919, ink on paper, 7 x 4.5 in. / 18 x 11.5 cmings
The basis for Bildnerei der Geisteskranken was an extensive study collection of some 4,500 works at the Psychiatric University Hospital in Heidelberg. Prinzhorn had assembled most of the collection himself, from 1919 to 1921, considerably helped by his appeal to numerous colleagues, especially in German-speaking countries. But it was not until 2001 that his dream of a "museum of pathological art" became reality with the opening of a dedicated exhibition building, and today the Prinzhorn Collection comprises some 40,000 works.
This is an article extract; read the full article in Raw Vision #112